Jamie Oliver about his childhood

Jamie Oliver

He’s a star chef, restaurant owner and bestselling author, but Jamie Oliver has faced his share of setbacks. He tells us more about his childhood.

A relaxed InGe3 crystal. Source: Materials Project, functional PBE-GGA.

Unit cell a=4.2680 b=4.2680 c=9.6275 alpha=90.00 beta=90.00 gamma=90.00
Fractional positions:
In: 0.0000 0.0000 0.0000
In: 0.5000 0.5000 0.5000
Ge: 0.0000 0.0000 0.5000
Ge: 0.0000 0.5000 0.2500
Ge: 0.0000 0.5000 0.7500
Ge: 0.5000 0.0000 0.2500
Ge: 0.5000 0.0000 0.7500
Ge: 0.5000 0.5000 0.0000

Summary:
* uncorrected energy: -3.877 eV/atom
* space group: I4/mmm (139)
* formation enthalpy at 0 K: 0.278 eV/atom
* spin magnetization: 0.00 μB per atom

***

A relaxed Ho3Ni7B2 crystal. Source: Materials Project, functional PBE-GGA.

Unit cell a=5.0217 b=5.0217 c=14.2072 alpha=90.00 beta=90.00 gamma=120.08
Fractional positions:
Ho: 0.1666 0.8334 0.5315
Ho: 0.1667 0.8333 0.7500
Ho: 0.1666 0.8334 0.9685
Ho: 0.8334 0.1666 0.0315
Ho: 0.8333 0.1667 0.2500
Ho: 0.8334 0.1666 0.4685
Ni: 0.1685 0.3343 0.6489
Ni: 0.1685 0.3343 0.8511
Ni: 0.3343 0.1685 0.1489
Ni: 0.3343 0.1685 0.3511
Ni: 0.3342 0.6658 0.1488
Ni: 0.3342 0.6658 0.3512
Ni: 0.5000 0.5000 0.0000
Ni: 0.5000 0.5000 0.5000
Ni: 0.6658 0.3342 0.6488
Ni: 0.6658 0.3342 0.8512
Ni: 0.6657 0.8315 0.6489
Ni: 0.6657 0.8315 0.8511
Ni: 0.8315 0.6657 0.1489
Ni: 0.8315 0.6657 0.3511
B: 0.1664 0.8336 0.2500
B: 0.5002 0.4998 0.2500
B: 0.4998 0.5002 0.7500
B: 0.8336 0.1664 0.7500

Summary:
* uncorrected energy: -6.146 eV/atom
* space group: Cmcm (63)
* formation enthalpy at 0 K: -0.516 eV/atom

=====

Record 1
A relaxed Na7MgTa3Si6O24 crystal, computed with PBE-GGA.

abc: 9.0983 9.0983 22.4098
angles: 90.00 90.00 120.00
Fractional coordinates of all 123 atoms:
Na  0.0000  0.0000  0.0753
Na  0.0000  0.0000  0.5872
Na  0.0533  0.3521  0.1616
Na  0.2988  0.9467  0.1616
Na  0.3098  0.2854  0.0000
Na  0.3131  0.0339  0.5019
Na  0.3333  0.6667  0.2469
Na  0.3333  0.6667  0.7540
Na  0.3552  0.0021  0.8431
Na  0.3577  0.3555  0.3423
Na  0.6445  0.0022  0.3423
Na  0.6469  0.6448  0.8431
Na  0.6479  0.7012  0.1616
Na  0.6667  0.3333  0.4247
Na  0.6667  0.3333  0.9220
Na  0.7146  0.0244  0.0000
Na  0.7208  0.6869  0.5019
Na  0.9661  0.2792  0.5019
Na  0.9756  0.6902  0.0000
Na  0.9979  0.3531  0.8431
Na  0.9978  0.6423  0.3423
Mg  0.0000  0.0000  0.4430
Mg  0.0000  0.0000  0.9399
Mg  0.3333  0.6667  0.1080
Ta  0.0000  0.0000  0.2353
Ta  0.0000  0.0000  0.7338
Ta  0.3333  0.6667  0.4025
Ta  0.3333  0.6667  0.6134
Ta  0.3333  0.6667  0.9047
Ta  0.6667  0.3333  0.0663
Ta  0.6667  0.3333  0.2751
Ta  0.6667  0.3333  0.5700
Ta  0.6667  0.3333  0.7737
Si  0.0432  0.3751  0.0102
Si  0.0426  0.6649  0.5075
Si  0.2910  0.0013  0.3418
Si  0.2912  0.2905  0.8405
Si  0.3318  0.9568  0.0102
Si  0.3351  0.3777  0.5075
Si  0.3727  0.0418  0.6721
Si  0.3741  0.3309  0.1725
Si  0.6223  0.9574  0.5075
Si  0.6249  0.6682  0.0102
Si  0.6691  0.0431  0.1725
Si  0.6691  0.6273  0.6721
Si  0.7095  0.0007  0.8405
Si  0.7103  0.7090  0.3418
Si  0.9569  0.6259  0.1725
Si  0.9582  0.3309  0.6721
Si  0.9987  0.2898  0.3418
Si  0.9993  0.7088  0.8405
O  0.0130  0.1861  0.0015
_Back to the text_

“I grew up a real country boy in Clavering, in the county of Essex, about 18 miles from Cambridge. By age five, I was already helping out in my parents’ pub The Cricketers, washing glasses and chopping veg for £1 an hour. I was really good with the knife even back then, and to be honest, I cooked up some really good grub, even as a kid. But my parents taught me something else really important: a great work ethic and 
how to treat others with respect and friendliness, and how to stay polite even when you’re stressed and your feet are killing you. I sometimes wish my own kids could help their grandparents out now and again, and learn all that. Back then I soon understood: if you want to get anywhere, you have to roll up your sleeves and get on with it.

My parents were working class; I have no idea why all these people 
I met later with my food show The Naked Chef on TV thought I was some privileged rich kid who went 
to a private school. Actually I was a chubby, thick kid who was so bad at school I needed extra lessons for the simplest things.


The magic of food

I found out for the first time that you can do magic with food when I was young. I went into the woods for a picnic with some friends and gave one of them his first ever smoked salmon sandwich, which I’d squeezed some slices of lemon over. I’ll never forget the look on his face when that combination of salty, smoky, soft bread and lemon hit 
his tongue. That was a real ‘aha!’ moment—for him, as well as for me. I’ve given each of my children exactly the same sandwich at one time or another. It’s a really special occasion, every time.

I met my wife Jools—her name’s actually Juliette—when I was 17. We’ve been together ever since. I’m a romantic guy: When Jools went to Tokyo for three months once for a job, I sent her a love letter every day. She kept them all. After secondary school, I left Essex and went to Westminster College, to study catering. Jools worked as a waitress. I was as poor as a church mouse; at the end of the month, I’d hardly have £100 left, and without Jools’ tips things would have been really grim.

We both had a clear idea of our future: I wanted to spend five years cooking in different restaurants in London, then we’d open a good pub back home and live above it with our family. Jools already wanted a lot of children back then. I thought she meant like two; turns out I was wrong. We’re now up to five children. Living above the pub like that could have been enough for us. In fact, I think Jools would have liked a more modest life. At least, she never pushed me career-wise.”

  • Read more about Jamie’s life and career journey in Issue 27.

Text Silke Pfersdorf Photography Getty Images